# Job
Say how many lines of the notes underneath hold the word "measured", as a bare number.
# Source
........
This entry pairs a crystal structure of CsRbS14 with its theoretical X-ray diffraction stick pattern. Radiation: Cu Ka. Structure: a crystal structure in Alexandria, relaxed with GGA-PBE.
No peak broadening, texture or thermal motion is included.

Atomic structure:
```
CsRbS14
1.0
10.5447 -4.8074 0.0000
10.5447 4.8074 0.0000
-6.2991 0.0000 10.4269
Cs Rb S
2 2 28
direct
0.0963 0.9037 0.7500 Cs
0.9037 0.0963 0.2500 Cs
0.5000 0.5000 0.0000 Rb
0.5000 0.5000 0.5000 Rb
0.0256 0.3204 0.1950 S
0.0363 0.6478 0.3573 S
0.1149 0.4388 0.3737 S
0.1786 0.1788 0.0798 S
0.1788 0.1786 0.5798 S
0.2201 0.6743 0.1614 S
0.2762 0.4713 0.1774 S
0.2911 0.4989 0.6633 S
0.3204 0.0256 0.6950 S
0.3257 0.7799 0.3386 S
0.3522 0.9637 0.1427 S
0.4388 0.1149 0.8737 S
0.4713 0.2762 0.6774 S
0.4989 0.2911 0.1633 S
0.5011 0.7089 0.8367 S
0.5287 0.7238 0.3226 S
0.5612 0.8851 0.1263 S
0.6478 0.0363 0.8573 S
0.6743 0.2201 0.6614 S
0.6796 0.9744 0.3050 S
0.7089 0.5011 0.3367 S
0.7238 0.5287 0.8226 S
0.7799 0.3257 0.8386 S
0.8212 0.8214 0.4202 S
0.8214 0.8212 0.9202 S
0.8851 0.5612 0.6263 S
0.9637 0.3522 0.6427 S
0.9744 0.6796 0.8050 S
```

Main lines, in order of rising 2θ (2θ from 10° to 80°):
18.19°, intensity 59
20.34°, intensity 46
22.07°, intensity 61
23.43°, intensity 100
29.39°, intensity 67
30.36°, intensity 45


[1]
Diffraction record for Pr2ThSn3. The XRD peak list is calculated, not measured: it uses a cell relaxed with GGA-PBE and Cu Kα, 1.54184 Å.

Peak list (6 most intense, 15 to 90 degrees two-theta, by intensity)
27.7 deg, d = 3.217 Å, I = 100; 39.5 deg, d = 2.282 Å, I = 39; 39.7 deg, d = 2.268 Å, I = 39; 64.6 deg, d = 1.442 Å, I = 19; 65.0 deg, d = 1.435 Å, I = 19; 48.9 deg, d = 1.862 Å, I = 14

Structural model:
Cell: 7.9077 7.9077 7.8445 Å, 99.68 99.68 120.10°
Atoms (fractional coordinates):
Pr1 0.0831 0.9169 0.7500
Pr2 0.2484 0.7516 0.2500
Pr3 0.7516 0.2484 0.7500
Pr4 0.9169 0.0831 0.2500
Th1 0.4155 0.5845 0.7500
Th2 0.5845 0.4155 0.2500
Sn1 0.0000 0.5000 0.5000
Sn2 0.1720 0.3365 0.0010
Sn3 0.3365 0.1720 0.5010
Sn4 0.5000 0.0000 0.0000
Sn5 0.6635 0.8280 0.4990
Sn6 0.8280 0.6635 0.9990


[2]
Diffraction record for Pr5ThSn3. The XRD peak list is calculated, not measured: it uses a cell relaxed with GGA-PBE and Cu Kα, 1.54184 Å.

Peak list (6 most intense, 15 to 90 degrees two-theta, by intensity)
31.8 deg, d = 2.811 Å, I = 100; 32.3 deg, d = 2.772 Å, I = 93; 57.0 deg, d = 1.615 Å, I = 37; 46.0 deg, d = 1.974 Å, I = 35; 64.4 deg, d = 1.446 Å, I = 27; 56.7 deg, d = 1.623 Å, I = 20

Structural model:
Cell: 9.7378 9.7378 6.7442 Å, 90.00 90.00 120.00°
Atoms (fractional coordinates):
Pr1 0.0000 0.3306 0.2500
Pr2 0.0000 0.6694 0.7500
Pr3 0.3306 0.0000 0.2500
Pr4 0.3306 0.3306 0.7500
Pr5 0.3333 0.6667 0.0000
Pr6 0.3333 0.6667 0.5000
Pr7 0.6667 0.3333 0.0000
Pr8 0.6667 0.3333 0.5000
Pr9 0.6694 0.0000 0.7500
Pr10 0.6694 0.6694 0.2500
Th1 0.0000 0.0000 0.0000
Th2 0.0000 0.0000 0.5000
Sn1 0.0000 0.3322 0.7500
Sn2 0.0000 0.6678 0.2500
Sn3 0.3322 0.0000 0.7500
Sn4 0.3322 0.3322 0.2500
Sn5 0.6678 0.0000 0.2500
Sn6 0.6678 0.6678 0.7500


[3]
Diffraction record for Pr2Tl3Sn3. The XRD peak list is calculated, not measured: it uses a cell relaxed with GGA-PBE and Cu Kα, 1.54184 Å.

Peak list (6 most intense, 15 to 90 degrees two-theta, by intensity)
32.2 deg, d = 2.784 Å, I = 100; 36.2 deg, d = 2.480 Å, I = 18; 37.7 deg, d = 2.388 Å, I = 16; 38.0 deg, d = 2.368 Å, I = 16; 62.6 deg, d = 1.484 Å, I = 15; 64.6 deg, d = 1.444 Å, I = 14

Structural model:
Cell: 4.7370 4.7760 9.9187 Å, 90.00 90.00 90.00°
Atoms (fractional coordinates):
Pr1 0.0000 0.0000 0.2408
Pr2 0.0000 0.0000 0.7592
Tl1 0.0000 0.5000 0.5000
Tl2 0.5000 0.5000 0.2500
Tl3 0.5000 0.5000 0.7500
Sn1 0.0000 0.5000 0.0000
Sn2 0.5000 0.0000 0.0000
Sn3 0.5000 0.0000 0.5000


[4]
Diffraction record for Pr4Tl3Sn. The XRD peak list is calculated, not measured: it uses a cell relaxed with GGA-PBE and Cu Kα, 1.54184 Å.

Peak list (6 most intense, 15 to 90 degrees two-theta, by intensity)
........
# Here it is
4